........
# CeSmB12 meta-GGA r2SCAN optimized geometry
# Total moment ... 1.03 μB per cell
# Formation enthalpy at 0 K ... -550 meV/atom
data_CeSmB12
_cell_length_a 5.8261
_cell_length_b 5.8261
_cell_length_c 4.1219
_cell_angle_alpha 90.00
_cell_angle_beta 90.00
_cell_angle_gamma 90.00
_space_group_name_H-M_alt 'P 1'
_space_group_IT_number 1
_space_group_name_Hall 'P 1'
loop_
_atom_site_label
_atom_site_type_symbol
_atom_site_fract_x
_atom_site_fract_y
_atom_site_fract_z
B1 B 0.6501 0.8494 0.5000
B2 B 0.1506 0.6501 0.5000
B3 B 0.0000 0.5000 0.8007
B4 B 0.1506 0.3499 0.5000
B5 B 0.8494 0.3499 0.5000
B6 B 0.8494 0.6501 0.5000
B7 B 0.3499 0.1506 0.5000
B8 B 0.5000 0.0000 0.1993
B9 B 0.5000 0.0000 0.8007
B10 B 0.0000 0.5000 0.1993
B11 B 0.3499 0.8494 0.5000
B12 B 0.6501 0.1506 0.5000
Sm1 Sm 0.0000 0.0000 0.0000
Ce1 Ce 0.5000 0.5000 0.0000

=====

# 1
Density functional theory data (PBE) for a relaxed CaAsH5O6 crystal.

Geometry as POSCAR:
```
CaAsH5O6
1.0
3.354 -7.718 0.000
3.354 7.718 0.000
-3.126 0.000 5.201
Ca As H O
2 2 10 12
direct
0.172 0.828 0.500 Ca
0.828 0.172 0.000 Ca
0.345 0.696 0.016 As
0.696 0.345 0.516 As
0.043 0.378 0.599 H
0.223 0.243 0.730 H
0.243 0.223 0.230 H
0.330 0.464 0.388 H
0.378 0.043 0.099 H
0.464 0.330 0.888 H
0.679 0.851 0.480 H
0.743 0.763 0.651 H
0.763 0.743 0.151 H
0.851 0.679 0.980 H
0.148 0.399 0.750 O
0.185 0.628 0.181 O
0.187 0.294 0.243 O
0.294 0.187 0.743 O
0.382 0.883 0.899 O
0.399 0.148 0.250 O
0.628 0.185 0.681 O
0.634 0.835 0.175 O
0.681 0.830 0.637 O
0.830 0.681 0.137 O
0.835 0.634 0.675 O
0.883 0.382 0.399 O
```

Excess energy over the best structure of this formula in the dataset = 0 kJ/mol of formula units
Energy relative to the elements = -172 kJ per mole of atoms


# 2
Density functional theory data (PBE) for a relaxed Ca5As3HO13 crystal.

Geometry as POSCAR:
```
Ca5As3HO13
1.0
9.922 0.000 0.000
-4.961 8.593 0.000
0.000 0.000 7.009
Ca As H O
10 6 2 26
direct
0.008 0.758 0.000 Ca
0.242 0.250 0.000 Ca
0.250 0.008 0.500 Ca
0.333 0.667 0.251 Ca
0.333 0.667 0.748 Ca
0.667 0.333 0.248 Ca
0.667 0.333 0.751 Ca
0.750 0.992 0.000 Ca
0.758 0.750 0.500 Ca
0.992 0.242 0.500 Ca
0.027 0.398 0.001 As
0.371 0.973 0.001 As
0.398 0.371 0.501 As
0.602 0.629 0.001 As
0.629 0.027 0.501 As
0.973 0.602 0.501 As
0.000 0.000 0.174 H
0.000 0.000 0.674 H
0.000 0.000 0.035 O
0.000 0.000 0.535 O
0.089 0.336 0.808 O
0.092 0.341 0.195 O
0.131 0.600 0.998 O
0.170 0.674 0.500 O
0.247 0.911 0.808 O
0.250 0.908 0.195 O
0.326 0.496 0.500 O
0.336 0.247 0.308 O
0.341 0.250 0.695 O
0.400 0.532 0.998 O
0.468 0.869 0.998 O
0.496 0.170 0.000 O
0.504 0.830 0.500 O
0.532 0.131 0.498 O
0.600 0.468 0.498 O
0.659 0.750 0.195 O
0.664 0.753 0.808 O
0.674 0.504 0.000 O
0.750 0.092 0.695 O
0.753 0.089 0.308 O
0.830 0.326 0.000 O
0.869 0.400 0.498 O
0.908 0.659 0.695 O
0.911 0.664 0.308 O
```

Energy relative to the elements = -257 kJ per mole of atoms


# 3
Density functional theory data (PBE) for a relaxed CaAsH5O6 crystal.

Geometry as POSCAR:
```
CaAsH5O6
1.0
3.118 -8.641 0.000
3.118 8.641 0.000
-1.946 0.000 5.839
Ca As H O
2 2 10 12
direct
0.172 0.828 0.500 Ca
0.828 0.172 0.000 Ca
0.414 0.774 0.204 As
0.774 0.414 0.704 As
0.018 0.190 0.487 H
0.081 0.114 0.821 H
0.114 0.081 0.321 H
0.190 0.018 0.987 H
0.237 0.385 0.860 H
0.283 0.650 0.816 H
0.385 0.237 0.360 H
0.650 0.283 0.316 H
0.785 0.934 0.335 H
0.934 0.785 0.835 H
0.056 0.576 0.713 O
0.071 0.216 0.817 O
0.096 0.951 0.825 O
0.128 0.588 0.209 O
0.216 0.071 0.317 O
0.416 0.697 0.918 O
0.541 0.745 0.377 O
0.576 0.056 0.213 O
0.588 0.128 0.709 O
0.697 0.416 0.418 O
0.745 0.541 0.877 O
0.951 0.096 0.325 O
```

Excess energy over the best structure of this formula in the dataset = 96 kJ/mol of formula units
Energy relative to the elements = -165 kJ per mole of atoms


Question: Which of these has the highest energy relative to the elements?
Answer: number 3
........
Write out only the lines above with the word "relaxed" in them.
Density functional theory data (PBE) for a relaxed CaAsH5O6 crystal.
Density functional theory data (PBE) for a relaxed Ca5As3HO13 crystal.
Density functional theory data (PBE) for a relaxed CaAsH5O6 crystal.